Monday, April 2, 2012


My life has turned out to be oh. SO. different than I thought it would be. Seriously. Sometimes I can hardly recognize this person when I compare her to the girl she was "supposed" to be. The girl that started college in the biomedical engineering department thinking that biomedical engineering was a good "back up plan" in case the dream of going to med school fell through. She's doesn't even bare much of a resemblance to the girl who graduated college - with a Bachelors in Religious Studies and a Masters in Elementary Education (and a plan to teach for just a little while before either getting a PhD and teaching Religion at a prestigious university, or maybe becoming a principal of a school). Like the biomedical engineer/doctor, that girl is also no where to be found.

The success-driven, career-valuing girl is gone. She hasn't even left much of a trace, other than a few large diplomas sitting in their frames. That's about all you will find of her.

In her place, there is someone new. Someone who has to run out the door quickly in the morning for fear that, if she doesn't go fast enough, she might decide to not actually leave. Someone who lives for the weekends, or for 3:15 when she gets home to her baby and kisses his face until he giggles and smiles. Someone whose favorite days are spent singing "Head, Shoulders, Knees and Toes" or some other silly song, reading countless books to a 4 month old (who, clearly, understands them), and playing the day away. This new person loves taking walks with her baby boy snuggled closely in a carrier, because he feels too far away in the stroller. This mother doesn't care if her attempt at a modern designed home is thwarted by the obnoxious baby items scattered here and there. Or if her mini trip to Charlotte takes SOOOO long to prepare for because she has to pack a million random things, or if it includes hotel room "lights out" at 8:00 and not being able to explore the city because, well, it's baby's bedtime. She doesn't care at all because she is completely and totally in love with her little family of three.

My life may not look glamorous anymore (oh, who am I kidding, it never looked glamorous) but I wouldn't trade it. I am so in love with my husband and son and pick being there with and for them over anything else in this world. Oh how things change.


April said...

<<<
(1)
The following is a DFT calculation (PBE+U) of an optimized crystal structure of LiVF4.

Properties
formation energy from the elements	-3.15	eV per atom
calculated density	2.67	g/cm³

a b c (Å): 8.040 8.040 12.626
angles (deg): 59.83 59.83 28.56
Sites, in units of the cell vectors:
1 Li 0.200 0.200 0.335
2 Li 0.341 0.341 0.822
3 Li 0.659 0.659 0.178
4 Li 0.800 0.800 0.665
5 V 0.965 0.965 0.368
6 V 0.862 0.862 0.141
7 V 0.138 0.138 0.859
8 V 0.035 0.035 0.632
9 F 0.481 0.481 0.350
10 F 0.925 0.925 0.243
11 F 0.832 0.832 0.500
12 F 0.351 0.351 0.159
13 F 0.724 0.724 0.285
14 F 0.800 0.800 0.045
15 F 0.886 0.886 0.757
16 F 0.114 0.114 0.243
17 F 0.200 0.200 0.955
18 F 0.276 0.276 0.715
19 F 0.649 0.649 0.841
20 F 0.168 0.168 0.500
21 F 0.000 0.000 0.000
22 F 0.075 0.075 0.757
23 F 0.519 0.519 0.650
24 F 0.000 0.000 0.500

---

(2)
The following is a DFT calculation (PBE+U) of an optimized crystal structure of FeSeO3F.

Properties
formation energy from the elements	-1.69	eV per atom
calculated density	4.18	g/cm³

a b c (Å): 5.275 5.051 12.518
angles (deg): 74.18 90.00 90.00
Sites, in units of the cell vectors:
1 Fe 0.754 0.386 0.571
2 Fe 0.746 0.386 0.071
3 Fe 0.246 0.614 0.429
4 Fe 0.254 0.614 0.929
5 Se 0.858 0.181 0.834
6 Se 0.642 0.181 0.334
7 Se 0.142 0.819 0.166
8 Se 0.358 0.819 0.666
9 O 0.127 0.980 0.846
10 O 0.373 0.980 0.346
11 O 0.873 0.020 0.154
12 O 0.627 0.020 0.654
13 O 0.939 0.386 0.925
14 O 0.561 0.386 0.425
15 O 0.061 0.614 0.075
16 O 0.439 0.614 0.575
17 O 0.923 0.415 0.709
18 O 0.577 0.415 0.209
19 O 0.077 0.585 0.291
20 O 0.423 0.585 0.791
21 F 0.065 0.259 0.510
22 F 0.435 0.259 0.010
23 F 0.935 0.741 0.490
24 F 0.565 0.741 0.990

---

(3)
The following is a DFT calculation (PBE+U) of an optimized crystal structure of TiMn5O12.

Properties
formation energy from the elements	-2.03	eV per atom
calculated density	3.93	g/cm³

a b c (Å): 5.083 5.083 9.715
angles (deg): 90.00 90.00 120.08
Sites, in units of the cell vectors:
1 Ti 0.000 0.000 0.000
2 Mn 0.833 0.167 0.500
3 Mn 0.333 0.667 0.000
4 Mn 0.667 0.333 0.000
5 Mn 0.167 0.833 0.500
6 Mn 0.500 0.500 0.500
7 O 0.000 0.339 0.900
8 O 0.661 0.000 0.100
9 O 0.833 0.500 0.598
10 O 0.500 0.833 0.598
11 O 0.500 0.167 0.402
12 O 0.834 0.834 0.402
13 O 0.167 0.500 0.402
14 O 0.339 0.000 0.900
15 O 0.660 0.660 0.900
16 O 0.000 0.661 0.100
17 O 0.340 0.340 0.100
18 O 0.166 0.166 0.598

---

(4)
The following is a DFT calculation (PBE+U) of an optimized crystal structure of Ni4P4O15.

Properties
formation energy from the elements	-2.07	eV per atom
calculated density	3.15	g/cm³

a b c (Å): 8.672 8.672 18.071
angles (deg): 82.23 82.23 107.21
Sites, in units of the cell vectors:
1 Ni 0.914 0.268 0.434
2 Ni 0.948 0.052 0.750
3 Ni 0.000 0.500 0.000
4 Ni 0.834 0.166 0.250
5 Ni 0.961 0.850 0.068
6 Ni 0.732 0.086 0.066
7 Ni 0.850 0.961 0.568
8 Ni 0.522 0.478 0.250
9 Ni 0.500 0.000 0.500
10 Ni 0.478 0.522 0.750
11 Ni 0.150 0.039 0.432
12 Ni 0.268 0.914 0.934
13 Ni 0.039 0.150 0.932
>>>

Motherhood is just something that is beautifully undescribable. My goals now are just to get the laundry done each week! lol

Glad that things are going well for you and your precious little family! :)

Mary Dobmeier said...

This is really sweet, Mary. Miss you.